
You Don’t Have To Write and Publish Every day…

Someone pasted data records at this point
=====
DFT (PBE-GGA) results for a relaxed Re2MoRu crystal.

Cell lengths 2.763, 5.280, 5.280 Å; angles 54.10, 74.88, 74.88 degrees
Positions (direct):
Re 0.992 0.090 0.924
Re 0.508 0.576 0.410
Mo 0.750 0.666 0.834
Ru 0.250 0.169 0.331

Calculated values
energy of formation	14	meV/atom
space-group type	No. 44


DFT (PBE-GGA) results for a relaxed ReMoRu2 crystal.

Cell lengths 2.757, 3.846, 5.563 Å; angles 89.99, 90.00, 90.00 degrees
Positions (direct):
Re 0.561 0.471 0.865
Mo 0.060 0.971 0.589
Ru 0.061 0.971 0.088
Ru 0.561 0.471 0.347

Calculated values
energy of formation	87	meV/atom
space-group type	No. 25


| no. | volume (Å³/f.u.) |
| --- | --- |
| 1 | 59.7 |
| 2 | 59.0 |

~~~~~

# 1
This record from the Alexandria database describes crystalline SrBeMo2 at its relaxed geometry. The functional is PBE.

Cell lengths 3.2031, 3.2031, 25.6755 Å; angles 90.00, 90.00, 120.00 degrees
Space group R3m (No. 160, hexagonal axes)
Asymmetric unit:
Sr (0.0000, 0.0000, 0.0000) [3 per cell]
Be (0.0000, 0.0000, 0.7607) [3 per cell]
Mo (0.0000, 0.0000, 0.2265) [3 per cell]
Mo (0.0000, 0.0000, 0.4894) [3 per cell]

Results
M_tot: 0.000 μB per formula unit

# 2
This record from the Alexandria database describes crystalline SrBeMo at its relaxed geometry. The functional is PBE.

Cell lengths 6.534, 6.534, 6.534 Å; angles 90.00, 90.00, 90.00 degrees
Space group F-43m (No. 216)
Asymmetric unit:
Sr (0.000, 0.000, 0.000) [4 per cell]
Be (0.250, 0.250, 0.250) [4 per cell]
Mo (0.000, 0.000, 0.500) [4 per cell]

Results
M_tot: 2.535 μB per formula unit
E above lowest polymorph: 613.1 meV per atom

# 3
This record from the Alexandria database describes crystalline SrBeMo2 at its relaxed geometry. The functional is PBE.

Cell lengths 4.421, 4.421, 18.290 Å; angles 90.00, 90.00, 90.00 degrees
Space group I-42d (No. 122)
Asymmetric unit:
Sr (0.000, 0.000, 0.000) [4 per cell]
Be (0.000, 0.000, 0.500) [4 per cell]
Mo (0.092, 0.250, 0.625) [8 per cell]

Results
M_tot: 0.000 μB per formula unit

# 4
This record from the Alexandria database describes crystalline SrBeMo2 at its relaxed geometry. The functional is PBE.

Cell lengths 3.327, 5.330, 9.040 Å; angles 90.00, 90.00, 90.00 degrees
Space group Imm2 (No. 44)
Asymmetric unit:
Sr (0.000, 0.000, 0.000) [2 per cell]
Be (0.000, 0.500, 0.210) [2 per cell]
Mo (0.000, 0.000, 0.493) [2 per cell]
Mo (0.000, 0.500, 0.796) [2 per cell]

Results
M_tot: 0.000 μB per formula unit

# 5
This record from the Alexandria database describes crystalline SrBeMo2 at its relaxed geometry. The functional is PBE.

Cell lengths 6.611, 6.611, 6.611 Å; angles 90.00, 90.00, 90.00 degrees
Space group F-43m (No. 216)
Asymmetric unit:
Sr (0.000, 0.000, 0.000) [4 per cell]
Be (0.250, 0.250, 0.750) [4 per cell]
Mo (0.000, 0.000, 0.500) [4 per cell]
Mo (0.250, 0.250, 0.250) [4 per cell]

Results
M_tot: 1.121 μB per formula unit

# 6
This record from the Alexandria database describes crystalline Sr3BeMo at its relaxed geometry. The functional is PBE.
=====

But do it because you’re capable

Kimberly Fosu
3 min readMar 30, 2021


In the online world, do what works best for you. (Photo: StartupStockPhotos)

Everything Is True and Everything Is Not

The internet is filled with so many conflicting ideas that leave you confused. You’ll read stories that say write and publish every day to improve your writing skills.

That’s true. Quantity leads to quality.

You’ll also read stories that say don’t publish every day; think quality. Hmm. That’s also true.

Everything is true, and everything is not! I say do your thing.

In the online world, do what works best for you. Do what makes you sleep like a baby at night. Do what makes you feel good.

Other people’s advice works for them and may not work for you.

Next to the article, the page also holds records of crystals:
=====
No. 1
{"formula": "Pm12Nd5Sn2", "functional": "GGA-PBE", "state": "optimized geometry", "cell": [[9.621, 0.000, 0.000], [-4.810, 7.728, 0.976], [0.000, -1.575, 8.488]], "species": ["Pm", "Pm", "Pm", "Pm", "Pm", "Pm", "Pm", "Pm", "Pm", "Pm", "Pm", "Pm", "Nd", "Nd", "Nd", "Nd", "Nd", "Sn", "Sn"], "frac_coords": [[0.922, 0.845, 0.117], [0.035, 0.704, 0.767], [0.669, 0.704, 0.767], [0.184, 0.756, 0.341], [0.572, 0.756, 0.341], [0.449, 0.898, 0.691], [0.551, 0.102, 0.309], [0.816, 0.244, 0.659], [0.428, 0.244, 0.659], [0.965, 0.296, 0.233], [0.331, 0.296, 0.233], [0.078, 0.155, 0.883], [0.236, 0.471, 0.588], [0.319, 0.638, 0.998], [0.000, 0.000, 0.500], [0.681, 0.362, 0.002], [0.764, 0.529, 0.412], [0.695, 0.000, 0.000], [0.305, 0.000, 0.000]], "rho_g_cm3": 6.94, "final_energy_ev_per_fu": -90.7, "e_form_ev_per_atom": -0.099, "n_ef_per_ev_fu": 23.229}

***

No. 2
{"formula": "PmNd3Sn12", "functional": "GGA-PBE", "state": "optimized geometry", "cell": [[-0.893, 3.847, 2.712], [0.471, -2.673, 3.947], [18.483, 3.956, 0.475]], "species": ["Pm", "Nd", "Nd", "Nd", "Sn", "Sn", "Sn", "Sn", "Sn", "Sn", "Sn", "Sn", "Sn", "Sn", "Sn", "Sn"], "frac_coords": [[0.000, 0.000, 0.000], [0.000, 0.000, 0.249], [0.000, 0.000, 0.500], [0.000, 0.000, 0.751], [0.500, 0.500, 0.000], [0.500, 0.500, 0.249], [0.500, 0.500, 0.500], [0.500, 0.500, 0.751], [0.500, 0.000, 0.124], [0.500, 0.000, 0.375], [0.500, 0.000, 0.625], [0.500, 0.000, 0.876], [0.000, 0.500, 0.124], [0.000, 0.500, 0.375], [0.000, 0.500, 0.625], [0.000, 0.500, 0.876]], "rho_g_cm3": 7.66, "final_energy_ev_per_fu": -75.1, "e_form_ev_per_atom": -0.499, "n_ef_per_ev_fu": 9.439}
=====
So much for the records of crystals:

People Mean Well but…

When articles say don’t write and publish every day, they say it so we don’t overwhelm ourselves. When they say to write and publish every day, they say it so we improve our writing skills.

People mean well, but you know best.

Most people are capable of writing and publishing every day and can do it effortlessly, but they don’t because they read somewhere that they shouldn’t. They read that the cool writers publish once a week. So they do that too. They hold on to their work for weeks, nitpicking the heck out of it.

But you know what? That’s cool if it works for them.

Most people are capable of writing and publishing every day and can do it effortlessly, but they don’t because they read they shouldn’t.

Do Your Thing

Those who write full-time know holding on to articles is just silly.


I’d be working eight hours a day if I had a 9–5. I’m capable of writing at least one article in eight hours. Not publishing feels like not going to work because I didn't feel like it.

I write every weekday because I can. I do it because it’s fun. But everybody is different.

Most writers have full-time jobs and write on the side. If you aren't in the same situation, you can't listen to them. You know your life and situation best.

Other people’s advice works for them and may not work for you.

When I don't feel like writing on a weekend, I take a nap. I don’t force it. If you don’t feel like writing today, close the laptop and go play basketball. Paint your nails.

Relax a bit and stay true to your body and mind.

We All Deserve a Break

I believe in writing a lot. I genuinely enjoy writing. I don’t consider it work. Writing is a passion, but I also believe in not forcing anything.


When I can, I write a lot to compensate for days that I can’t. So when I can’t, I’m not hard on myself. I pat myself on the back because I work hard.

I close my laptop, go to the store for a large Icee, and then I come home, sit on the couch, and watch movies on Netflix.

We all deserve a break, especially when you know you work hard.

The Internet Battles Against Itself

You can’t listen to the chaos. Listening to other people without discernment leaves you frustrated. The only thing to listen to is your intuition.

It's the only thing you can trust.

When I force myself to write, it's not fun and my work sucks when I’m not having fun. When I go do something else, I naturally miss writing so I return to my computer, excited to write.

I do my thing. You do your thing.

Write a lot, but not when you’d rather be doing something else.



Kimberly Fosu

Purpose Coach. I'm kind of obsessed with God. My new book "Who Am I?" is available on Amazon now. https://www.amazon.com/dp/B0CW1BMHLY